Listing:
┌──
Version i
Computed, not measured: C40H64F3IN2O11S4 as an isolated structure, with ωB97M-V/def2-TZVPD.

Calculated values
Gap between HOMO and LUMO ... 7.0 eV
LUMO ... -0.7 eV
E_HOMO ... -7.717 eV

```
! wB97M-V def2-TZVPD RIJCOSX def2/J DEFGRID3
* xyz 0 1
C 3.1439 0.7326 4.5328
C 3.3309 -0.8014 4.2748
O 4.4899 -1.2644 4.1828
N 2.0759 -1.6414 4.0508
H 1.8209 -1.9444 5.2918
H 1.2269 -1.1014 3.7978
C 2.3419 -3.0044 3.4248
H 2.1329 1.0846 4.3438
H 3.6969 1.2836 3.8968
H 3.3959 1.0736 5.4578
H 2.6519 -2.7444 2.2868
H 1.2669 -3.5204 3.3388
H 2.9259 -3.8694 4.0108
C 0.2429 2.8056 1.4528
C -0.3641 1.6916 0.7098
O -1.2891 1.9646 -0.0912
N 0.2319 0.2966 0.9428
H 1.1919 0.4876 1.0898
H 0.2089 0.0536 1.9198
C -0.0701 -0.7154 -0.0842
H 0.9589 2.4066 2.2398
H -0.4591 3.2766 2.1838
H 0.5949 3.4636 0.9038
H -1.1441 -0.7444 -0.1782
H 0.2989 -1.6774 0.3918
H 0.4589 -0.4824 -0.9802
I 3.7309 0.4776 0.1868
O 0.0259 -0.3044 3.3468
H -0.6851 -1.0204 3.9178
F -2.4871 0.2996 -2.8692
C -3.4911 -0.3924 -2.3212
C -4.0361 0.1766 -1.1652
C -5.0371 -0.4324 -0.5642
C -5.6271 -1.6634 -1.0252
C -5.1111 -2.2054 -2.2132
C -3.9441 -1.6184 -2.9052
H -3.5871 1.0396 -0.8992
H -5.4671 0.0066 0.4578
H -6.3511 -2.0894 -0.6172
H -5.6601 -2.9024 -2.7412
H -3.5311 -1.9064 -3.8472
F -5.2721 -0.4584 4.2498
C -4.6831 0.7196 4.1418
C -3.2961 0.9206 4.3838
C -2.7161 2.1676 4.1888
C -3.4261 3.1886 3.5828
C -4.8091 3.0256 3.3438
C -5.3741 1.8346 3.6238
H -2.8931 -0.0204 4.4718
H -1.5241 2.2586 4.3368
H -2.9991 4.0946 3.2578
H -5.2001 3.9586 2.7508
H -6.2621 1.3526 3.2888
F 2.7629 4.3196 3.1788
C 2.9689 5.5956 2.7008
C 2.5139 6.6646 3.4608
C 2.4099 7.9536 2.7848
C 2.8119 7.9986 1.4788
C 3.3629 6.9946 0.7778
C 3.2889 5.6686 1.3388
H 2.2309 6.6366 4.4748
H 2.1539 8.6496 3.4868
H 2.8119 8.8406 0.9948
H 3.4809 7.1196 -0.2412
H 3.7169 4.7946 0.7018
C -3.1481 -2.9734 1.3138
C -4.3831 -3.1934 2.1808
C -3.9891 -4.0694 3.1918
S -2.6021 -5.0424 2.5868
O -3.0761 -6.3304 2.3278
O -1.6381 -4.8684 3.5838
C -2.3801 -4.2084 1.0788
H -2.6521 -2.3614 1.8558
H -3.3511 -2.5594 0.3028
H -5.0621 -3.7624 1.5768
H -4.9151 -2.2914 2.2998
H -4.9671 -4.3374 3.6008
H -3.5301 -3.7054 3.9308
H -2.7951 -4.4854 0.1008
H -1.2741 -4.1864 0.9688
C 2.9249 2.8586 -3.8062
C 3.0349 4.2226 -4.4052
C 2.7169 5.0716 -3.4092
S 1.2629 4.5386 -2.7432
O 0.2029 4.8946 -3.6412
O 1.1009 4.6636 -1.3592
C 1.6559 2.8636 -2.9502
H 3.8379 2.6826 -3.2302
H 3.0999 1.8836 -4.5292
H 2.4389 4.3056 -5.3392
H 4.2269 4.3176 -4.2982
H 2.7669 6.2306 -3.7552
H 3.3819 5.1556 -2.5902
H 1.1629 2.1816 -3.4562
H 2.0949 2.5196 -1.9712
C 3.1779 -5.8734 -1.5982
C 3.5179 -4.4364 -2.0942
C 2.9469 -3.5964 -1.1362
S 1.4069 -4.1604 -0.7412
O 0.3949 -3.6644 -1.6282
O 1.2049 -3.9844 0.7268
C 1.7189 -5.8634 -1.0292
H 4.0379 -6.1914 -0.9372
H 3.3099 -6.5414 -2.3632
H 3.1659 -4.3764 -3.1642
H 4.5969 -4.2804 -1.9832
H 2.7669 -2.5094 -1.5912
H 3.4609 -3.6094 -0.3782
H 0.9379 -6.2854 -1.8932
H 1.7579 -6.5484 -0.1052
C -0.2321 0.0956 -5.3462
C 0.5339 -0.7604 -4.2962
C 0.3989 -2.1134 -4.4032
S 0.6439 -2.2864 -6.1562
O -0.3911 -3.1904 -6.5362
O 2.0359 -2.6564 -6.4962
C 0.2949 -0.6004 -6.6132
H -0.0951 1.1716 -5.1372
H -1.4561 0.1156 -5.2892
H 0.1499 -0.2974 -3.3092
H 1.6689 -0.3184 -4.2482
H -0.4311 -2.7734 -4.1932
H 1.1759 -2.5614 -3.8612
H -0.2541 -0.5534 -7.5372
H 1.2499 -0.2134 -6.9682
*
```

---

Version ii
Computed, not measured: C40H64F3IN2O11S4 as an isolated structure, with ωB97M-V/def2-TZVPD.

Calculated values
Gap between HOMO and LUMO ... 7.5 eV
LUMO ... -0.2 eV
E_HOMO ... -7.747 eV

```
! wB97M-V def2-TZVPD RIJCOSX def2/J DEFGRID3
* xyz 0 1
C -1.6764 -4.2468 -4.3184
C -2.1174 -4.5028 -2.8954
O -1.9914 -5.6518 -2.4304
N -3.0324 -3.5398 -2.1744
H -3.6194 -4.0168 -1.3774
H -2.1594 -3.1878 -1.5454
C -3.6714 -2.4468 -2.9624
H -1.5734 -5.0908 -4.8554
H -0.6654 -3.7768 -4.4414
H -2.3314 -3.8408 -5.0274
H -3.0984 -1.9078 -3.6684
H -3.8744 -1.6038 -2.1724
H -4.4644 -2.8288 -3.4494
C 1.7036 -2.1448 -1.0804
C 1.1146 -0.7718 -0.6734
O 1.9306 -0.0808 -0.1504
└──

Request:
Please print the lines above from the one with "-0.8992" to the one with "-2.1744" with every line break kept.

Here it is:
H -3.5871 1.0396 -0.8992
H -5.4671 0.0066 0.4578
H -6.3511 -2.0894 -0.6172
H -5.6601 -2.9024 -2.7412
H -3.5311 -1.9064 -3.8472
F -5.2721 -0.4584 4.2498
C -4.6831 0.7196 4.1418
C -3.2961 0.9206 4.3838
C -2.7161 2.1676 4.1888
C -3.4261 3.1886 3.5828
C -4.8091 3.0256 3.3438
C -5.3741 1.8346 3.6238
H -2.8931 -0.0204 4.4718
H -1.5241 2.2586 4.3368
H -2.9991 4.0946 3.2578
H -5.2001 3.9586 2.7508
H -6.2621 1.3526 3.2888
F 2.7629 4.3196 3.1788
C 2.9689 5.5956 2.7008
C 2.5139 6.6646 3.4608
C 2.4099 7.9536 2.7848
C 2.8119 7.9986 1.4788
C 3.3629 6.9946 0.7778
C 3.2889 5.6686 1.3388
H 2.2309 6.6366 4.4748
H 2.1539 8.6496 3.4868
H 2.8119 8.8406 0.9948
H 3.4809 7.1196 -0.2412
H 3.7169 4.7946 0.7018
C -3.1481 -2.9734 1.3138
C -4.3831 -3.1934 2.1808
C -3.9891 -4.0694 3.1918
S -2.6021 -5.0424 2.5868
O -3.0761 -6.3304 2.3278
O -1.6381 -4.8684 3.5838
C -2.3801 -4.2084 1.0788
H -2.6521 -2.3614 1.8558
H -3.3511 -2.5594 0.3028
H -5.0621 -3.7624 1.5768
H -4.9151 -2.2914 2.2998
H -4.9671 -4.3374 3.6008
H -3.5301 -3.7054 3.9308
H -2.7951 -4.4854 0.1008
H -1.2741 -4.1864 0.9688
C 2.9249 2.8586 -3.8062
C 3.0349 4.2226 -4.4052
C 2.7169 5.0716 -3.4092
S 1.2629 4.5386 -2.7432
O 0.2029 4.8946 -3.6412
O 1.1009 4.6636 -1.3592
C 1.6559 2.8636 -2.9502
H 3.8379 2.6826 -3.2302
H 3.0999 1.8836 -4.5292
H 2.4389 4.3056 -5.3392
H 4.2269 4.3176 -4.2982
H 2.7669 6.2306 -3.7552
H 3.3819 5.1556 -2.5902
H 1.1629 2.1816 -3.4562
H 2.0949 2.5196 -1.9712
C 3.1779 -5.8734 -1.5982
C 3.5179 -4.4364 -2.0942
C 2.9469 -3.5964 -1.1362
S 1.4069 -4.1604 -0.7412
O 0.3949 -3.6644 -1.6282
O 1.2049 -3.9844 0.7268
C 1.7189 -5.8634 -1.0292
H 4.0379 -6.1914 -0.9372
H 3.3099 -6.5414 -2.3632
H 3.1659 -4.3764 -3.1642
H 4.5969 -4.2804 -1.9832
H 2.7669 -2.5094 -1.5912
H 3.4609 -3.6094 -0.3782
H 0.9379 -6.2854 -1.8932
H 1.7579 -6.5484 -0.1052
C -0.2321 0.0956 -5.3462
C 0.5339 -0.7604 -4.2962
C 0.3989 -2.1134 -4.4032
S 0.6439 -2.2864 -6.1562
O -0.3911 -3.1904 -6.5362
O 2.0359 -2.6564 -6.4962
C 0.2949 -0.6004 -6.6132
H -0.0951 1.1716 -5.1372
H -1.4561 0.1156 -5.2892
H 0.1499 -0.2974 -3.3092
H 1.6689 -0.3184 -4.2482
H -0.4311 -2.7734 -4.1932
H 1.1759 -2.5614 -3.8612
H -0.2541 -0.5534 -7.5372
H 1.2499 -0.2134 -6.9682
*
```

---

Version ii
Computed, not measured: C40H64F3IN2O11S4 as an isolated structure, with ωB97M-V/def2-TZVPD.

Calculated values
Gap between HOMO and LUMO ... 7.5 eV
LUMO ... -0.2 eV
E_HOMO ... -7.747 eV

```
! wB97M-V def2-TZVPD RIJCOSX def2/J DEFGRID3
* xyz 0 1
C -1.6764 -4.2468 -4.3184
C -2.1174 -4.5028 -2.8954
O -1.9914 -5.6518 -2.4304
N -3.0324 -3.5398 -2.1744